Today’s post is by contributing writer Jennifer Gunther:
Members of the City of Phoenix Planning and Development Department informally met with local developers in the AE England Building in downtown Phoenix Tuesday afternoon to get a feel for what those on the other side of city code think about current regulations and procedures.
Cynthia Stotler, the assistant director of the department, opened the floor of the historic building’s spacious event room to the audience for a “listening session.” She said that in response to growing demand for a more livable urban environment in Phoenix, the City wants to ask different groups of stakeholders where changes can be made to better encourage infill development. The event was one of several meetings being held this week.
At this meeting, infill development was understood to refer to the use of land within city boundaries that is currently not being used, but has the potential to be. Infill development may encompass development practices such as adaptive reuse and historic preservation in addition to building new developments. Comments, anecdotes and suggestions shared by audience members were recorded by department member Darcy Kober, who is also accepting email messages from those wanting to voice their opinion.
Stotler and audience members discussed how “suburban” building practices such as having high minimum setbacks and high minimum parking requirements for developments were not conducive to creating more urban spaces, especially downtown. According to the audience, interpretation of city code needs to pay more attention to the greater goals of mixed-use and transit-oriented development when updating code or granting relief on a site-by-site basis because these can be frustrated by current parking rules and building ordinances. The mostly unspoken value of the discussion was encouraging greater density.
## The article is interrupted by quantum chemistry results
/*
Density functional theory data (ωB97M-V with the def2-TZVPD basis set) for CH3O4P as an isolated structure.

**E_LUMO**: 7.18 eV
**Spin multiplicity**: 1
**Charge**: -2
**HOMO energy**: 0.4 eV
**Calculated total energy**: -18563.9830 eV

```
9
Properties=species:S:1:pos:R:3:forces:R:3
C 0.05534 -0.76397 -0.22315 -1.6 1.0 0.3
O -2.60249 1.96609 2.02224 0.9 -1.0 -0.4
O -3.35550 0.64550 -0.02836 0.1 -0.5 -0.1
O -1.40519 2.32920 -0.22183 0.0 -0.9 0.5
O 0.86670 -1.56827 0.37299 0.8 0.2 0.5
P -2.27845 1.43952 0.63535 -1.0 2.1 -0.5
H -1.04853 -0.36270 0.53278 1.3 0.1 -0.6
H -0.53095 -1.24305 -1.00222 -0.8 -0.3 -0.7
H 0.33490 0.25230 -0.67168 0.2 -0.7 0.9
```
Positions in Å, forces in eV/Å.

~~~~~

# C68H55AsN5O3SSr

C68H55AsN5O3SSr as an isolated structure (ωB97M-V with the def2-TZVPD basis set, the Open Molecules 2025 dataset).

Positions of all 134 atoms, in Å:
C (-1.13052, -0.78345, -3.75308)
H (-3.71755, -4.31013, -1.28721)
H (-3.83636, 3.93563, -2.00093)
N (-0.90412, -2.46066, 2.38650)
C (-0.84867, 3.20311, -1.98953)
H (1.47562, 5.16153, 1.91750)
C (-2.57447, 3.62476, -3.69927)
H (0.24245, -4.38903, -7.59592)
C (1.30138, -3.59609, -2.72438)
H (-1.79679, -5.76289, -7.28074)
C (4.90715, 5.58324, 0.21769)
H (-5.13133, -0.47625, -0.42474)
C (2.44677, 5.26688, 1.45075)
C (-1.52589, -5.01323, -6.54741)
H (-2.57931, -3.69791, -3.60467)
H (2.55599, -3.49148, 1.73997)
C (-0.47969, -2.02484, -3.63499)
C (5.84441, -4.29475, 1.47740)
C (3.30168, -1.30318, 4.40261)
C (3.97163, 0.27360, 1.13113)
H (4.80968, -2.62860, 5.15835)
H (-6.58841, -1.06715, -3.07141)
C (-1.76101, -4.57496, -0.37714)
C (-0.38208, -4.24209, -6.72303)
N (-0.95781, 0.29554, -2.93459)
H (-4.86015, 6.20657, -5.49278)
H (5.16376, -1.31248, 7.23317)
H (-4.45151, -2.43104, 0.32417)
H (1.16085, -4.41917, -3.40845)
C (-3.23130, -4.15795, -0.31648)
H (5.86466, 5.70174, -0.27465)
H (-1.28737, -4.41029, 0.59416)
H (5.11543, 7.36231, 1.40856)
H (1.88616, 3.33108, 3.36659)
H (-6.71508, -2.03559, -1.60334)
C (3.25361, 6.35418, 1.77323)
C (0.52848, -2.36433, -2.70595)
H (4.42462, 3.77087, -0.83252)
C (2.76992, 0.60086, 5.76521)
C (-2.66810, -1.59315, 5.29462)
C (4.43942, -0.98531, 6.49677)
H (0.85385, -2.67470, -5.91600)
C (0.31290, 4.19296, 4.56473)
H (-2.76042, 0.29814, 6.20737)
H (-3.20853, -5.41396, -5.27288)
C (-6.52583, -1.02657, -1.98037)
H (-2.36798, -1.09386, -5.62000)
O (-2.62039, -0.19620, -0.18557)
H (-1.37747, 4.75249, 5.76121)
H (-5.29895, 5.57759, -3.13596)
C (0.43398, 4.77668, -1.01428)
C (0.98063, 3.14688, 3.93279)
H (2.99126, -4.20304, -1.47844)
N (0.01579, 2.52167, -1.19808)
H (7.21694, -3.37503, 0.10471)
C (-1.68652, 1.31924, -3.44991)
C (3.71075, 0.18139, 6.70042)
H (-7.33266, -0.38127, -1.62681)
H (-3.50831, -1.99306, 5.85142)
C (-0.57886, -2.09808, 3.84963)
H (0.91027, 5.69654, -0.71495)
N (2.06411, 0.68901, -0.07584)
H (-3.76492, -4.79729, 0.39022)
H (-1.17113, 5.41822, -2.34259)
C (-3.15332, 4.91015, -5.66694)
H (-2.94856, 5.18308, -6.69484)
H (2.20837, 1.51014, 5.94039)
*/
## Back to the article
Mark Davis of Davis Enterprises said predictability in terms of code compliance is what he values most as a developer. He shared his experience with the City’s pre-application process as it relates to his redevelopment of a shopping center on 7th Avenue and Indian School Road.
After reviewing the site, drawing plans and preparing a budget and timeframe for the project, Davis said the City made new comments after everything was submitted for the appropriate permits.
“New items were brought to the table that were not brought before,” he said. “What would be very helpful is having that all put out in front so we have a predictable process for determining cost and expenditure to work around. Surprises are no good.”
Matt Seaman of Metro West Development said the unique context of each site needs to be taken into greater account by the City when inspecting.
“Whether you’re building 200 apartments or 10 or a restaurant, each site is different,” he said. “We get through the permit stage and we start digging in the streets or building something, and it seems like there’s becoming a larger and grayer area of what type of leeway inspection groups have.”
Seaman added that working with older or historic properties is the most challenging because more infrastructure needs to be updated by the developer.
“It seems like some of our project costs move up,” he said. “It’s a burden put on the project.”
Lorenzo Perez of Venue Projects said one economic development strategy the City of Phoenix could take advantage of was the creation of parking nodes. This could be an effective use of city-owned vacant lots. Perez also cited clashes with the neighborhood close to his development The Yard, which is located on 7th Street south of Bethany Home Road.
“I really want the city to question how much power the neighborhoods are given,” he said.
Christina Noble, principal of Contour Design Studio, continuing the theme of parking. She talked about her work on the Creative Center of Scottsdale, a redevelopment of a gun store and shooting range.
“You can effectively buy your way out of parking requirements” in downtown Scottsdale, she said. “The project I’m working on has a tight site. We can only get eight spaces in there, but we’re required to have 27 minimum.”
Noble said the City reconciles its parking issues with infill development by allowing developers to purchase parking spaces from the City, which uses the funds to subsidize parking structures. She added that the City also allows developers to negotiate lease agreements with each other to share parking lots.
Once the department has met with design professionals, developers and property owners, contractors and representatives of neighborhoods and communities, Stotler said it intends to deliver a proposal to city council filled with recommendations for amending city code.
She said the sessions the Planning Department is holding share the spirit of the Reinvent PHX and MyPlanPHX initiatives: input.
“All those things are wonderful tools to help us see what people want and where,” she said. “What we’re trying to do with this forum [for developers] is figure out how to make it all happen, where the rubber hits the road.”
There is two last “listening sessions” on infill development tomorrow, Friday, June 14, 2013. The first’ll be at the AE England Building from 8am to 10am for the neighborhood. The second will be open to the public and will be held at the same location, later that day from 3pm to 5pm.
Photo Credit: Photo by Editor
Tags: AE England Building, Christina Noble, city of phoenix listening sessions, city of phoenix planning and development department, contour design studio, cynthia stotler, darcy kober, davis entreprises, encouraging infill development, infill development, lorenzo perez, making infill development in phoenix easier, matt seaman, metro west development, mike davis, myplanphx, phoenix, reinvent phx, venue projects
=====
Record 1
=====
Something needs to be done about the parking at The Yard restaurant on 7St and Montebello (N. of Bethany).The neighborhood is turning into a parking lot. Friday night there were 25 cars parked illegally at the No Parking signs along Montebello. There is absolutely no where to park!
There is a vacant retirement village just South of the Yard, It would be nice if that could be used for parking.